What to do =
Set down the part of the calculation results further down that starts with the line with "-5.25481 0.0" and stops after the one with "3.65167 0.0".

Data =
____________
93
Properties=species:S:1:pos:R:3:forces:R:3 method="wB97M-V/def2-TZVPD" multiplicity=4 homo_ha="-0.54937 / -0.54890" e_above_lowest_kj_mol=0.0 total_charge=+3 e_lumo_ev="-9.22 / -10.06" gap_ha="0.210 / 0.179"
Re -0.09207 -0.35624 0.08957 -0.5 -0.2 0.1
As -1.68642 1.42238 -0.96618 0.2 0.1 -0.1
As 0.88734 1.76380 1.07584 0.0 -0.2 0.1
S 2.15183 -4.30713 1.33515 0.0 0.0 0.0
S -4.04431 -1.89052 1.85134 0.0 0.0 0.0
S -0.38275 -3.35048 2.45706 0.0 0.1 0.0
O 1.42198 -0.27965 -1.13268 -0.1 0.0 -0.2
O 2.68676 0.51510 -3.39092 0.0 0.0 0.1
N -1.83723 -0.93920 1.08149 0.1 0.1 0.2
N 1.05168 -2.04334 0.57040 0.2 0.1 0.1
N -2.46103 -0.16809 3.20942 0.0 0.0 0.0
N 2.27718 -2.11461 -0.11164 0.0 0.0 0.0
N -2.26560 -1.74453 0.04912 0.3 0.1 -0.1
C 3.14291 2.34410 -0.54237 0.0 0.0 0.0
C -3.39978 -2.30133 0.27398 0.0 0.0 0.0
C 4.92638 -0.11087 -3.58938 0.0 0.0 0.0
C -5.39790 0.17171 -2.35611 0.0 0.0 0.0
C -4.12586 -3.19508 -0.66952 0.0 0.0 0.0
C 5.03134 1.74614 1.41956 0.0 0.0 0.0
C 0.93092 0.36672 3.56229 0.0 0.0 0.0
C 4.49391 2.44194 -0.82781 0.0 0.0 0.0
C -1.40565 3.27961 -3.13945 0.0 0.0 0.0
C -0.00408 -5.10310 2.76806 0.0 0.0 0.0
C -3.54733 0.98637 -1.06510 0.0 -0.1 0.0
C -1.53939 2.98993 0.18534 0.0 0.0 0.0
C -4.37156 1.13715 0.04652 0.0 0.0 0.0
C -0.11340 1.47263 -4.82513 0.0 0.0 0.0
C -6.22710 0.32692 -1.25190 0.0 0.0 0.0
C -4.40912 -4.57501 -0.07210 0.0 0.0 0.0
C -0.31968 2.36700 5.04328 0.0 0.0 0.0
C 2.43691 -1.15839 -0.95589 0.0 -0.1 -0.1
C -4.05290 0.50038 -2.26785 0.0 0.0 0.0
C 0.54312 1.56260 2.95030 0.0 0.0 0.0
C 5.98383 -1.59682 -2.00866 0.0 0.0 0.0
C 3.65437 -0.99548 -1.73420 0.0 0.0 0.0
C -5.71695 0.80908 -0.05331 0.0 0.0 0.0
C 6.03727 -0.80491 -3.15801 0.0 0.0 0.0
C -2.66299 -0.89330 2.11446 -0.1 -0.1 -0.1
C -0.48246 1.08018 -3.54624 0.0 0.0 0.0
C 3.72977 -0.18994 -2.88293 -0.1 0.0 0.0
C -0.08585 2.56224 3.68766 0.0 0.0 0.0
C 2.74779 1.94760 0.73427 0.0 0.0 0.0
C 3.68108 1.64883 1.72304 0.0 0.0 0.0
C -0.06969 3.31179 0.39595 0.0 0.0 0.0
C 1.49939 -5.25201 2.74248 0.0 0.0 0.0
C 5.43357 2.13822 0.15012 0.0 0.0 0.0
C -1.12084 1.98631 -2.70379 0.0 0.1 0.0
C -1.03053 3.66428 -4.41715 0.0 0.0 0.0
C 0.07246 1.18325 5.65590 0.0 0.0 0.0
C 0.93463 -3.10564 1.37022 0.0 0.0 -0.1
C 0.69773 0.18369 4.91809 0.0 0.0 0.0
C 4.80297 -1.69216 -1.31417 0.0 0.0 0.0
C -0.38281 2.76426 -5.25481 0.0 0.0 0.0
H -1.93247 3.98441 -2.50779 0.0 0.0 0.0
H -7.27951 0.08838 -1.33117 0.0 0.0 0.0
H -5.04405 -4.51074 0.81304 0.0 0.0 0.0
H 0.09037 4.12995 1.09955 0.0 0.0 0.0
H 5.76888 1.52380 2.17877 0.0 0.0 0.0
H 1.01522 -0.73064 5.40199 0.0 0.0 0.0
H 4.95427 0.49922 -4.48209 0.0 0.0 0.0
H 2.41808 2.56740 -1.31714 0.0 0.0 0.0
H -0.28682 0.06282 -3.22293 0.0 0.0 0.0
H -3.41337 0.39840 -3.13679 0.0 0.0 0.0
H -0.79581 3.14644 5.62304 0.0 0.0 0.0
H 1.43231 -0.41092 2.99289 0.0 0.0 0.0
H -2.04445 2.77108 1.12712 0.0 0.0 0.0
H -5.06134 -2.70233 -0.94964 0.0 0.0 0.0
H -0.48854 -5.69421 1.99261 0.0 0.0 0.0
H -3.51559 -3.26914 -1.56973 0.0 0.0 0.0
H -6.37141 0.94926 0.79710 0.0 0.0 0.0
H -5.80246 -0.18897 -3.29245 0.0 0.0 0.0
H 1.96519 -4.87372 3.65167 0.0 0.0 0.0
H 6.95899 -0.73257 -3.72016 0.0 0.0 0.0
H -0.38219 3.49738 3.22910 0.0 0.0 0.0
H -0.09190 3.07186 -6.25027 0.0 0.0 0.0
H 4.74009 -2.30146 -0.42391 0.0 0.0 0.0
H 6.48824 2.21499 -0.07818 0.0 0.0 0.0
H 3.37257 1.36032 2.71918 0.0 0.0 0.0
H 6.85971 -2.13297 -1.67270 0.0 0.0 0.0
H -2.06545 3.81884 -0.28763 0.0 0.0 0.0
H -0.42547 -5.36059 3.73843 0.0 0.0 0.0
H -4.92922 -5.19110 -0.80218 0.0 0.0 0.0
H -3.98889 1.52875 0.98241 0.0 0.0 0.0
H 1.79240 -6.29153 2.60114 0.0 0.0 0.0
H -3.10810 -0.20866 3.98065 0.0 0.0 0.0
H -3.48307 -5.08178 0.20002 0.0 0.0 0.0
H -0.09913 1.04374 6.71509 0.0 0.0 0.0
H 0.38849 0.77270 -5.47857 0.0 0.0 0.0
H -1.25125 4.66508 -4.76296 0.0 0.0 0.0
H 4.81252 2.75261 -1.81346 0.0 0.0 0.0
H -1.56903 0.28548 3.36670 0.0 0.0 0.0
H 1.92745 0.45630 -2.79633 0.1 0.0 -0.1
H 0.42295 3.58572 -0.53809 0.0 0.0 0.0
____________

Result =
C -0.38281 2.76426 -5.25481 0.0 0.0 0.0
H -1.93247 3.98441 -2.50779 0.0 0.0 0.0
H -7.27951 0.08838 -1.33117 0.0 0.0 0.0
H -5.04405 -4.51074 0.81304 0.0 0.0 0.0
H 0.09037 4.12995 1.09955 0.0 0.0 0.0
H 5.76888 1.52380 2.17877 0.0 0.0 0.0
H 1.01522 -0.73064 5.40199 0.0 0.0 0.0
H 4.95427 0.49922 -4.48209 0.0 0.0 0.0
H 2.41808 2.56740 -1.31714 0.0 0.0 0.0
H -0.28682 0.06282 -3.22293 0.0 0.0 0.0
H -3.41337 0.39840 -3.13679 0.0 0.0 0.0
H -0.79581 3.14644 5.62304 0.0 0.0 0.0
H 1.43231 -0.41092 2.99289 0.0 0.0 0.0
H -2.04445 2.77108 1.12712 0.0 0.0 0.0
H -5.06134 -2.70233 -0.94964 0.0 0.0 0.0
H -0.48854 -5.69421 1.99261 0.0 0.0 0.0
H -3.51559 -3.26914 -1.56973 0.0 0.0 0.0
H -6.37141 0.94926 0.79710 0.0 0.0 0.0
H -5.80246 -0.18897 -3.29245 0.0 0.0 0.0
H 1.96519 -4.87372 3.65167 0.0 0.0 0.0